_Wanted_
Find the line underneath that holds "-3.83460 -0.64851", then duplicate that line and all lines after it there, please.

_Listing_
Record 1
The following is a quantum chemistry calculation of 13 unconnected molecules or ions with the total composition C7H38O12 at a distorted geometry, from the OMol25 dataset.

Output
Calculated total energy: -32443.8029 eV
Strongest force on any atom: 1.890 eV/Å
Frontier orbital gap: 9.3 eV
Net charge: 0

Element x y z (Å)
C: 1.85830 -1.71751 2.97495
C: 0.78519 -2.04575 1.95018
C: 0.03111 -0.91959 1.19344
C: 0.64598 -0.47266 -0.11684
C: -2.02195 1.86177 -1.75892
C: -1.26182 0.72153 -1.16084
C: 0.03136 0.71673 -0.84284
H: 1.51691 -1.54151 3.99497
H: 2.55473 -2.54751 3.09531
H: 2.40297 -0.84557 2.59402
H: 1.25679 -2.73381 1.23422
H: -0.08476 -2.54485 2.37131
H: 0.14306 -0.05740 1.86090
H: -1.03230 -1.15049 1.19019
H: 1.69664 -0.26939 0.11023
H: 0.79105 -1.26097 -0.86019
H: -1.85485 2.76886 -1.15570
H: -3.07696 1.59582 -1.73709
H: -1.68202 2.30731 -2.69218
H: -1.86656 -0.02657 -0.65427
H: 0.67715 1.56763 -0.97990
H: -4.14547 -1.15517 2.52324
H: -2.98909 -1.40310 1.59502
O: -3.80107 -1.81679 1.91206
H: 1.74754 2.75515 -2.68987
H: 0.92308 2.19035 -3.89447
O: 0.94668 2.86313 -3.20845
H: -2.14085 -3.68804 2.65006
H: -1.89643 -3.38480 1.20903
O: -1.75005 -4.07804 1.85959
H: 3.37993 0.21094 -2.81947
H: 2.11146 -0.52230 -2.50396
O: 2.48310 0.36801 -2.49823
H: 1.06742 -2.85126 -3.02866
H: -0.16611 -2.49713 -2.47711
O: 0.17328 -2.67693 -3.35923
H: -4.22826 2.09464 0.50057
H: -3.69629 1.31363 1.64593
O: -3.77057 2.22238 1.33867
H: -0.27964 4.33050 0.56987
H: -0.05013 3.67119 -0.74004
O: 0.24678 3.62187 0.17976
H: 3.29273 1.02278 -0.11136
H: 4.53253 0.68317 -0.88359
O: 4.23658 1.21190 -0.14574
H: 1.23749 -4.40364 -0.84380
H: 0.33167 -3.64811 0.10152
O: 0.83625 -3.53580 -0.71401
H: 2.44675 1.79077 2.79633
H: 1.06369 2.42361 3.17583
O: 2.00410 2.40936 3.37781
H: -1.75117 2.60882 2.31841
H: -0.36388 1.85685 1.89011
O: -1.17869 1.85020 2.38976
H: -1.06400 0.94612 -3.94813
H: -0.39144 -0.44562 -4.18308
O: -0.90795 0.25530 -4.59533

These are the Löwdin partial charges, in e, on atoms 1 to 4: C -0.08; C -0.25; C -0.18; C -0.20


Record 2
The following is a quantum chemistry calculation of C19H25N3OS in the gas phase at a distorted geometry, from the OMol25 dataset.

Output
Calculated total energy: -37461.8745 eV
Strongest force on any atom: 1.177 eV/Å
Frontier orbital gap: 8.6 eV
Net charge: 0

Element x y z (Å)
C: -5.14446 -2.33947 2.23704
C: -4.56399 -1.03357 1.71137
H: -5.35245 -0.28586 1.60925
H: -3.83460 -0.64851 2.42756
C: -3.85629 -1.18618 0.36012
N: -3.17650 0.05262 0.09612
C: -2.13466 0.15072 -0.59370
N: -1.54995 1.34188 -0.85801
C: -1.91254 2.48199 -0.04860
H: -2.91404 2.28738 0.33616
C: -0.95006 2.69934 1.13295
O: 0.29323 3.25682 0.76939
C: 0.28160 4.65255 0.60493
H: -0.06302 5.15470 1.51696
H: 1.30963 4.94584 0.39970
H: -0.35454 4.96994 -0.22974
H: -0.71967 1.72998 1.58334
H: -1.43908 3.33127 1.88705
H: -1.93407 3.37020 -0.68653
C: -0.33220 1.41005 -1.64170
C: 0.71963 0.50833 -1.07452
C: 1.97882 0.88538 -0.70449
C: 2.87609 -0.08813 -0.21294
C: 4.19482 0.20866 0.17740
C: 5.03729 -0.77216 0.63373
C: 4.56619 -2.09940 0.71028
C: 3.29259 -2.42638 0.34272
C: 2.41293 -1.43002 -0.12663
N: 1.15686 -1.77806 -0.46627
C: 0.36018 -0.84935 -0.90686
S: -1.28694 -1.30944 -1.33691
H: 2.92642 -3.43913 0.40080
H: 5.23822 -2.86558 1.07032
C: 6.44376 -0.47089 1.05114
H: 6.59621 -0.74983 2.09319
H: 7.14733 -1.04408 0.44833
H: 6.66780 0.58656 0.93721
H: 4.53319 1.23362 0.10963
H: 2.29443 1.91517 -0.79236
H: -0.55915 1.08733 -2.66934
H: 0.01290 2.44263 -1.66169
C: -4.83347 -1.48200 -0.77893
H: -4.28842 -1.55317 -1.71772
H: -5.34778 -2.42231 -0.60496
H: -5.56482 -0.68093 -0.85824
H: -3.13211 -2.01531 0.41950
H: -5.94283 -2.70136 1.59451
H: -5.55300 -2.19298 3.23450
H: -4.37239 -3.10410 2.29139

These are the Löwdin partial charges, in e, on atoms 1 to 4: C -0.11; C -0.23; H 0.11; H 0.11


Record 3

_Worked solution_
H: -3.83460 -0.64851 2.42756
C: -3.85629 -1.18618 0.36012
N: -3.17650 0.05262 0.09612
C: -2.13466 0.15072 -0.59370
N: -1.54995 1.34188 -0.85801
C: -1.91254 2.48199 -0.04860
H: -2.91404 2.28738 0.33616
C: -0.95006 2.69934 1.13295
O: 0.29323 3.25682 0.76939
C: 0.28160 4.65255 0.60493
H: -0.06302 5.15470 1.51696
H: 1.30963 4.94584 0.39970
H: -0.35454 4.96994 -0.22974
H: -0.71967 1.72998 1.58334
H: -1.43908 3.33127 1.88705
H: -1.93407 3.37020 -0.68653
C: -0.33220 1.41005 -1.64170
C: 0.71963 0.50833 -1.07452
C: 1.97882 0.88538 -0.70449
C: 2.87609 -0.08813 -0.21294
C: 4.19482 0.20866 0.17740
C: 5.03729 -0.77216 0.63373
C: 4.56619 -2.09940 0.71028
C: 3.29259 -2.42638 0.34272
C: 2.41293 -1.43002 -0.12663
N: 1.15686 -1.77806 -0.46627
C: 0.36018 -0.84935 -0.90686
S: -1.28694 -1.30944 -1.33691
H: 2.92642 -3.43913 0.40080
H: 5.23822 -2.86558 1.07032
C: 6.44376 -0.47089 1.05114
H: 6.59621 -0.74983 2.09319
H: 7.14733 -1.04408 0.44833
H: 6.66780 0.58656 0.93721
H: 4.53319 1.23362 0.10963
H: 2.29443 1.91517 -0.79236
H: -0.55915 1.08733 -2.66934
H: 0.01290 2.44263 -1.66169
C: -4.83347 -1.48200 -0.77893
H: -4.28842 -1.55317 -1.71772
H: -5.34778 -2.42231 -0.60496
H: -5.56482 -0.68093 -0.85824
H: -3.13211 -2.01531 0.41950
H: -5.94283 -2.70136 1.59451
H: -5.55300 -2.19298 3.23450
H: -4.37239 -3.10410 2.29139

These are the Löwdin partial charges, in e, on atoms 1 to 4: C -0.11; C -0.23; H 0.11; H 0.11


Record 3